An anti-aging night cream, what’s the point?
The regenerating “herbal tea” for the skin
Is it necessary to use a night cream ? What is the use of it ? Which one to choose ?
The skin is a psychic organ that reveals a lot about us… our age, our state of fatigue and our emotions.
If you are tired, stressed, exposed to daily environmental aggressions, it shows on your skin. Like you, it needs to be in good shape to face the next day, which may not always be a happy one. If not, what? It ages prematurely. Because what shows on the surface, drawn features, dull complexion, wrinkles, loose skin, is only the reflection of the damage suffered inside the skin. You know, the famous hidden part of the iceberg …
-- Unrelated to this article: crystal structures --
- - -
The following is a theoretical PXRD pattern of Ac12ZnSi5. It was derived from a cell relaxed with PBE, using Cu Kα.

Most intense lines, 2θ from 10° to 80°, by angle:
2theta	I/Imax
23.33	34
25.75	30
26.36	45
26.58	22
28.78	100
30.86	45
31.12	31
31.38	44
33.83	28
52.97	39

Atomic structure:
```
18
Lattice="-5.299 5.337 5.488 5.299 -5.337 5.488 5.299 5.337 -5.488" Properties=species:S:1:pos:R:3 pbc="T T T"
Ac 5.299 3.219 -2.855
Ac 2.827 1.863 0.000
Ac 7.771 1.863 0.000
Ac 2.179 5.337 -1.938
Ac 3.120 0.000 3.549
Ac 0.000 2.118 2.633
Ac 5.299 3.219 2.855
Ac 2.179 5.337 1.938
- - -
-- End of the crystal structures --
It is at night that your skin is able to regenerate itself, and it is at this time that it must be helped by infusing it with effective active ingredients. To keep the rested look that immediately makes you feel better and more beautiful.
Night cream, day cream, how does it work?
What is the difference between the two? It’s simple: during the day we protect, at night we regenerate.
In the morning, a moisturizing and protective cream
With or without a protection factor depending on whether or not you are exposed to the sun. It allows the skin to be well hydrated all day long, to remain comfortable, to have a fresh complexion, and to limit the damage of free radicals created by daily aggressions, thanks to anti-oxidants.
In the evening, focus on cell regeneration
This is where we repair, detoxify and re-energize the skin with a care product concentrated in active ingredients. In addition, it is nourished and moisturized in depth. So that it is in full form the following day. The night cream thus has a preventive and curative role at the same time.
The 2 are complementary and not interchangeable! And the sooner you start, the better it is!
The nightlife of the skin
Batteries need to be recharged, and so does the skin’s. And it’s only at night that this happens, because that’s when it can regenerate itself. During the day, it is far too busy forming a protective shield against all kinds of aggressions…
While we sleep, the skin is working hard for us: its cells divide to better renew themselves. Cellular renewal begins around 11 p.m., and between midnight and 1 a.m., it reaches its peak where it is 3 times more important than in the middle of the day. The skin is then at the peak of its regenerative capacity, and replaces its dead cells with new ones. The microcirculation is activated, the skin repairs itself and reinforces its protective barrier.
First beauty secret
Don’t go to bed at 2 a.m. because your skin will have missed the right time slot, to get enough sleep (never forget that there is a curfew for your skin!). Otherwise, the skin is too tired to recover, its aging accelerates (lack of sleep would multiply by 2 the signs of aging*!). Especially since this regeneration capacity decreases with age…
Second secret
After thorough cleansing, apply an anti-aging facial care product in the evening that :
- Favors regeneration.
What comes next are crystal structures, not part of the article:
┌──
(1)
Diffraction record for SbPtS. The X-ray diffraction stick pattern is calculated, not measured: it uses a GGA-PBE-relaxed structure and Cu Kα.
Intensities are scaled so that the largest is 1000.

Crystal structure
Cell lengths 6.287, 6.287, 6.287 Å; angles 90.00, 90.00, 90.00 degrees
Positions (direct):
1 Sb 0.119 0.119 0.119
2 Sb 0.381 0.881 0.619
3 Sb 0.619 0.381 0.881
4 Sb 0.881 0.619 0.381
5 Pt 0.006 0.506 0.994
6 Pt 0.494 0.494 0.494
7 Pt 0.506 0.994 0.006
8 Pt 0.994 0.006 0.506
9 S 0.115 0.385 0.615
10 S 0.385 0.615 0.115
11 S 0.615 0.115 0.385
12 S 0.885 0.885 0.885

The 8 most intense peaks (2θ = 10–90°), by intensity:
2θ/deg, Rel. int.
47.99, 1000
28.39, 741
24.52, 580
40.59, 505
31.83, 450
79.16, 332
34.96, 246
50.27, 218



(2)
Diffraction record for Na4YNbSi3O12. The X-ray diffraction stick pattern is calculated, not measured: it uses a GGA-PBE-relaxed structure and Cu Kα.
Intensities are scaled so that the largest is 1000.

Crystal structure
Cell lengths 9.338, 9.338, 9.338 Å; angles 60.33, 60.33, 60.33 degrees
Positions (direct):
1 Na 0.000 0.000 0.000
2 Na 0.126 0.391 0.739
3 Na 0.239 0.891 0.626
4 Na 0.391 0.739 0.126
5 Na 0.500 0.500 0.500
6 Na 0.626 0.239 0.891
7 Na 0.739 0.126 0.391
8 Na 0.891 0.626 0.239
9 Y 0.353 0.353 0.353
10 Y 0.853 0.853 0.853
11 Nb 0.152 0.152 0.152
12 Nb 0.652 0.652 0.652
13 Si 0.049 0.762 0.453
14 Si 0.262 0.549 0.953
15 Si 0.453 0.049 0.762
16 Si 0.549 0.953 0.262
17 Si 0.762 0.453 0.049
18 Si 0.953 0.262 0.549
19 O 0.005 0.228 0.362
20 O 0.032 0.787 0.619
21 O 0.054 0.944 0.278
22 O 0.102 0.729 0.917
23 O 0.119 0.287 0.532
24 O 0.228 0.362 0.005
25 O 0.229 0.602 0.417
26 O 0.278 0.054 0.944
27 O 0.287 0.532 0.119
28 O 0.362 0.005 0.228
29 O 0.417 0.229 0.602
30 O 0.444 0.554 0.778
31 O 0.505 0.862 0.728
32 O 0.532 0.119 0.287
33 O 0.554 0.778 0.444
34 O 0.602 0.417 0.229
35 O 0.619 0.032 0.787
36 O 0.728 0.505 0.862
37 O 0.729 0.917 0.102
38 O 0.778 0.444 0.554
39 O 0.787 0.619 0.032
40 O 0.862 0.728 0.505
41 O 0.917 0.102 0.729
42 O 0.944 0.278 0.054

The 8 most intense peaks (2θ = 10–90°), by intensity:
2θ/deg, Rel. int.
18.96, 1000
30.25, 845
33.07, 579
45.42, 329
26.94, 236
57.32, 232
51.53, 193
49.78, 158



(3)
Diffraction record for MnBe12. The X-ray diffraction stick pattern is calculated, not measured: it uses a GGA-PBE-relaxed structure and Cu Kα.
Intensities are scaled so that the largest is 1000.

Crystal structure
Cell lengths 5.459, 5.459, 5.459 Å; angles 98.10, 98.10, 135.90 degrees
Positions (direct):
1 Mn 0.000 0.000 0.000
2 Be 0.000 0.000 0.500
3 Be 0.000 0.346 0.346
4 Be 0.000 0.500 0.000
5 Be 0.000 0.654 0.654
6 Be 0.290 0.500 0.790
7 Be 0.346 0.000 0.346
8 Be 0.500 0.000 0.000
9 Be 0.500 0.290 0.790
10 Be 0.500 0.500 0.500
11 Be 0.500 0.710 0.210
12 Be 0.654 0.000 0.654
13 Be 0.710 0.500 0.210

The 8 most intense peaks (2θ = 10–90°), by intensity:
2θ/deg, Rel. int.
17.53, 1000
51.12, 899
35.59, 819
25.04, 780
43.92, 452
51.39, 378
39.84, 330
24.89, 304
└──
Back to the article:
- Helps repair the damage caused by the various stresses that the skin has suffered.
- Reinforces the skin’s protective capacity to face the next day.
*source Estee Lauder/université de Cleveland)
Skin and stress, beware of danger
This is the very example of a vicious circle: stress causes skin problems and these problems cause stress….
Occasional stress
Did you know that the skin and the brain have the same embryonic origin? When we know that, we understand better their close relationship… in case of stress, the skin goes into inflammatory mode to defend itself, and produces hormones like cortisol. But this same cortisol weakens the skin and accelerates its aging by degrading the support fibers, collagen and elastin. In fact, stress destroys skin harmony and accentuates all imbalances.
Chronic stress
Free radicals create “oxidative stress” when the skin’s natural defense system is no longer able to compensate for the aggressions.
Who is responsible? Pollution, stress, fatigue, poor diet or lifestyle, tobacco, UV rays, allergens, electro-magnetic waves… generate 80% of the signs of skin aging. Indeed, they attack a certain number of constituents of the skin.
The skin has natural antioxidant mechanisms, but most of the time its defenses are overwhelmed. This is where the antioxidant actives come in to protect our skin from the damages caused by free radicals (dehydration, inflammation…) and slow down the visible signs of aging.
Night care, at any age
There is no age to start using expert night care. The earlier the better for a preventive effect. They allow the epidermis to defend itself more effectively and preserve the youth and beauty of the face for longer. They will continue to eliminate excess free radicals in the cells. By stimulating skin regeneration, they maintain the density and lusciousness of the skin. We can’t say it enough: don’t wait for fine lines and wrinkles to appear before applying an anti-aging night cream, it’s well before that that you should pamper your skin while you sleep…
Night cream, the essential molecules
Misplaced materials data:
/*
Record 1
For SiS, a crystal structure in Alexandria, relaxed with GGA-PBE gives the simulated X-ray powder pattern in this record (Cu Kα).
Kinematic intensities with the Lorentz-polarization factor, no thermal factor.

Cell lengths 3.327, 15.415, 3.994 Å; angles 90.00, 90.00, 90.00 degrees
Space group Cmc2_1 (No. 36)
One atom of each set of equivalent atoms:
Si (0.000, 0.042, 0.000)
S (0.000, 0.368, 0.515)

Top 12 peaks for 2θ from 5° to 70°, most intense first:
| 2θ/deg | I_rel |
| --- | --- |
| 25.11 | 100.0 |
| 11.48 | 71.7 |
| 32.05 | 47.2 |
| 46.13 | 44.9 |
| 56.66 | 17.8 |
| 55.04 | 14.7 |
| 45.42 | 14.2 |
| 61.58 | 12.8 |
| 23.08 | 10.0 |
| 35.60 | 9.1 |
| 49.65 | 8.1 |
| 55.22 | 7.7 |


Record 2
For Tm7AsS5, a crystal structure in Alexandria, relaxed with GGA-PBE gives the simulated X-ray powder pattern in this record (Cu Kα).
Kinematic intensities with the Lorentz-polarization factor, no thermal factor.

Cell lengths 12.593, 3.820, 23.060 Å; angles 90.00, 91.93, 90.00 degrees
Space group Cm (No. 8)
One atom of each set of equivalent atoms:
Tm (0.000, 0.000, 0.000)
Tm (0.007, 0.000, 0.574)
Tm (0.044, 0.500, 0.422)
Tm (0.062, 0.500, 0.145)
Tm (0.113, 0.000, 0.284)
Tm (0.171, 0.000, 0.790)
Tm (0.223, 0.500, 0.929)
Tm (0.240, 0.500, 0.652)
Tm (0.276, 0.000, 0.500)
Tm (0.285, 0.000, 0.074)
Tm (0.323, 0.500, 0.360)
Tm (0.342, 0.500, 0.216)
Tm (0.443, 0.000, 0.858)
Tm (0.461, 0.000, 0.713)
As (0.336, 0.500, 0.773)
As (0.448, 0.000, 0.301)
S (0.082, 0.000, 0.895)
S (0.100, 0.000, 0.680)
S (0.142, 0.500, 0.537)
S (0.143, 0.500, 0.037)
S (0.184, 0.000, 0.394)
S (0.203, 0.000, 0.179)
S (0.363, 0.000, 0.965)
S (0.369, 0.000, 0.607)
S (0.415, 0.500, 0.466)
S (0.422, 0.500, 0.108)

Top 12 peaks for 2θ from 5° to 70°, most intense first:
| 2θ/deg | I_rel |
| --- | --- |
| 31.08 | 100.0 |
| 32.82 | 74.9 |
| 28.79 | 73.7 |
| 30.21 | 62.6 |
| 32.47 | 58.9 |
| 33.56 | 48.3 |
| 47.61 | 45.7 |
| 46.38 | 32.8 |
| 29.06 | 31.6 |
| 57.42 | 31.4 |
| 47.00 | 30.0 |
| 34.07 | 29.6 |


Record 3
For Tb4InAg5, a crystal structure in Alexandria, relaxed with GGA-PBE gives the simulated X-ray powder pattern in this record (Cu Kα).
Kinematic intensities with the Lorentz-polarization factor, no thermal factor.

Cell lengths 3.672, 3.672, 17.625 Å; angles 90.00, 90.00, 90.00 degrees
Space group P4/mmm (No. 123)
One atom of each set of equivalent atoms:
Tb (0.000, 0.000, 0.104)
Tb (0.000, 0.000, 0.310)
In (0.000, 0.000, 0.500)
Ag (0.500, 0.500, 0.000)
Ag (0.500, 0.500, 0.208)
Ag (0.500, 0.500, 0.406)

Top 12 peaks for 2θ from 5° to 70°, most intense first:
| 2θ/deg | I_rel |
| --- | --- |
| 35.30 | 100.0 |
| 34.55 | 55.4 |
| 62.39 | 36.9 |
| 49.66 | 19.5 |
| 63.83 | 15.0 |
| 51.88 | 7.1 |
| 31.72 | 3.1 |
| 24.24 | 2.6 |
| 59.09 | 2.1 |
| 39.28 | 1.5 |
| 43.28 | 1.1 |
| 46.37 | 1.1 |
*/
The stars of the night are the anti-oxidants, anti-inflammatories and regenerants.
They help to repair the damage suffered by the cells.
Polyphenols, powerful natural antioxidants, are very present in plants. They help the skin to better fight against free radicals and the sun’s UV rays. They also boost microcirculation, as well as the production of elastin and collagen.
The most active family are the flavonoids, very powerful. They are able to directly neutralize free radicals and repair oxidized cell membranes.
A flavonoid in particular is very present in linden: tiliroside, which preserves the integrity of cells to delay the process of skin aging. A true anti-aging active ingredient, tiliroside also preserves elastin and collagen fibers to prevent skin slackening preceding the appearance of wrinkles. Linden has high anti-oxidant capacities, as demonstrated by Tiliactiv4®, which has a capacity to trap 68.7% of free radicals (0.5% concentration – GREENTECH study).
Anti-inflammatories or soothing agents
All aggressions, pollution, stress, lack of sleep, produce oxidants, and create tiny inflammatory lesions. Over time, they degrade the cells and the elements that make up the skin. An underground but very real undermining work!
With the years, the body can no longer fight against this silent inflammation and aging accelerates: sagging, wrinkles, loss of radiance … It is therefore essential to soothe the inflammation of the skin.
Linden, universally celebrated for its soothing action since the dawn of time, and still thanks to tiliroside in particular, regulates the inflammatory response and thus reduces skin inflammation. The tests carried out on Tiliactiv4® showed a capacity of inhibition of 64% of a mediator of the inflammation (Greentech Study).
Regenerating agents
For the skin to regenerate, it must eliminate its dead cells and produce new ones continuously. Did you know that we lose 4 grams of skin per day? From the age of 30, this regeneration capacity decreases. It is therefore necessary to stimulate this cellular renewal and at the same time protect the support fibers, collagen and elastin.
This is exactly what Tiliactiv4® does, as it restructures and regenerates the layers of the skin, thus slowing down the development and deepening of wrinkles. It protects the volume of the skin and its biomechanical properties such as elasticity, suppleness and flexibility.
Recreating the effects of sleep on the skin
Inflammation and oxidative stress are very intertwined and each one supports the other, which is typically what we call a vicious circle. Inflamed cells produce free radicals, which are responsible for oxidative stress. And oxidative stress causes inflammation…. It is thus necessary to act at the same time on these 2 mechanisms.
This is what the molecules of the linden tree do, combining anti-oxidant and anti-inflammatory powers, in addition to their regenerating action.
By acting on the whole process, night after night, we can recreate the effects of sleep on the skin: rested features, plump, supple and smooth skin, fresh complexion.
A peaceful mind for a beautiful skin
Stress has a negative impact on the skin, but on the other hand – and that’s the good news- well-being also has a positive impact!
A calm and relaxed psyche makes the skin more beautiful.
So any way you can relax your mind and take the time to pamper yourself is a good one! From a delicious scent of a cream, to a self-massage, to a moment of meditation or breathing exercises, all these little tricks before going to sleep will further increase the effectiveness of your night care. And your skin will look fresh and rested the next day when you wake up….